Excerpt:
┌──
No. 1
This record from Materials Project describes a relaxed structure of Dy2TlZn. The functional is r²SCAN.

The structure belongs to space group Fm-3m (No. 225); the cell edges are 7.333, 7.333 and 7.333 Å and the angles 90.00°, 90.00° and 90.00°. The asymmetric unit holds Dy at (0.250, 0.250, 0.250), Tl at (0.000, 0.000, 0.000) and Zn at (0.000, 0.000, 0.500).

No. 2
This record from Materials Project describes a relaxed structure of Lu2Mn2O7. The functional is r²SCAN.

The structure belongs to space group Fd-3m (No. 227, origin choice 2); the cell edges are 9.751, 9.751 and 9.751 Å and the angles 90.00°, 90.00° and 90.00°. The asymmetric unit holds Lu at (0.000, 0.000, 0.000), Mn at (0.000, 0.000, 0.500), O at (0.081, 0.375, 0.875) and O at (0.125, 0.125, 0.125).

| no. | E (eV per atom) | total magnetization (Bohr magnetons per cell) |
| --- | --- | --- |
| 1 | -31.92 | 0.01 |
| 2 | -16.44 | 48.00 |

~~~~~

Entry 1:
The following is a DFT calculation (PBE+U) of a relaxed Li3Mn5Co2O12 crystal.

```
data_Li3Mn5Co2O12
_cell_length_a 5.216
_cell_length_b 8.941
_cell_length_c 29.151
_cell_angle_alpha 90.00
_cell_angle_beta 90.66
_cell_angle_gamma 90.00
_space_group_name_H-M_alt 'C 1 2 1'
_space_group_IT_number 5
loop_
_space_group_symop_operation_xyz
'x,y,z'
'-x,y,-z'
'x+1/2,y+1/2,z'
'-x+1/2,y+1/2,-z'
loop_
_atom_site_label
_atom_site_type_symbol
_atom_site_fract_x
_atom_site_fract_y
_atom_site_fract_z
Li1 Li 0.000 0.000 0.000
Li2 Li 0.001 0.978 0.749
Li3 Li 0.161 0.495 0.333
Li4 Li 0.167 0.156 0.586
Li5 Li 0.170 0.479 0.082
Mn1 Mn 0.000 0.645 0.500
Mn2 Mn 0.000 0.659 0.000
Mn3 Mn 0.000 0.984 0.500
Mn4 Mn 0.010 0.327 0.252
Mn5 Mn 0.160 0.822 0.585
Mn6 Mn 0.161 0.827 0.081
Mn7 Mn 0.166 0.141 0.833
Mn8 Mn 0.166 0.486 0.833
Mn9 Mn 0.172 0.157 0.334
Co1 Co 0.000 0.318 0.500
Co2 Co 0.000 0.327 0.000
Co3 Co 0.165 0.811 0.833
Co4 Co 0.167 0.831 0.334
O1 O 0.001 0.681 0.630
O2 O 0.013 0.989 0.368
O3 O 0.016 0.967 0.875
O4 O 0.021 0.642 0.132
O5 O 0.035 0.304 0.375
O6 O 0.041 0.326 0.874
O7 O 0.133 0.485 0.964
O8 O 0.133 0.818 0.960
O9 O 0.140 0.180 0.703
O10 O 0.140 0.809 0.458
O11 O 0.149 0.142 0.202
O12 O 0.185 0.154 0.464
O13 O 0.186 0.468 0.209
O14 O 0.188 0.178 0.963
O15 O 0.194 0.486 0.702
O16 O 0.196 0.818 0.707
O17 O 0.199 0.479 0.460
O18 O 0.210 0.826 0.207
```


Entry 2:
The following is a DFT calculation (PBE+U) of a relaxed Li7Mn2Co3O12 crystal.

```
data_Li7Mn2Co3O12
_cell_length_a 2.960
_cell_length_b 5.059
_cell_length_c 14.598
_cell_angle_alpha 81.32
_cell_angle_beta 85.18
_cell_angle_gamma 88.43
_space_group_name_H-M_alt 'P 1'
_space_group_IT_number 1
loop_
_space_group_symop_operation_xyz
'x,y,z'
loop_
_atom_site_label
_atom_site_type_symbol
_atom_site_fract_x
_atom_site_fract_y
_atom_site_fract_z
Li1 Li 0.000 0.000 0.000
Li2 Li 0.067 0.412 0.843
Li3 Li 0.140 0.826 0.687
Li4 Li 0.316 0.667 0.342
Li5 Li 0.491 0.484 0.002
Li6 Li 0.640 0.331 0.686
Li7 Li 0.819 0.160 0.345
Mn1 Mn 0.730 0.745 0.513
Mn2 Mn 0.904 0.576 0.175
Co1 Co 0.229 0.245 0.513
Co2 Co 0.404 0.077 0.174
Co3 Co 0.567 0.911 0.844
O1 O 0.038 0.723 0.917
O2 O 0.095 0.101 0.770
O3 O 0.162 0.527 0.591
O4 O 0.303 0.964 0.434
O5 O 0.374 0.398 0.251
O6 O 0.432 0.750 0.101
O7 O 0.529 0.166 0.919
O8 O 0.606 0.657 0.770
O9 O 0.654 0.037 0.587
O10 O 0.810 0.456 0.437
O11 O 0.865 0.859 0.252
O12 O 0.940 0.294 0.098
```


no.,VASP energy (eV for the cell shown)
1,-877.4
2,-139.6
└──

To do:
Set down the part of the lines above that starts with the line with "relaxed Li3Mn5Co2O12" and stops after the one with "_cell_angle_gamma 90.00", please.

Result:
The following is a DFT calculation (PBE+U) of a relaxed Li3Mn5Co2O12 crystal.

```
data_Li3Mn5Co2O12
_cell_length_a 5.216
_cell_length_b 8.941
_cell_length_c 29.151
_cell_angle_alpha 90.00
_cell_angle_beta 90.66
_cell_angle_gamma 90.00